Brief >
Please duplicate everything further down with every line break kept.

Data >
- - -
Simulated powder XRD pattern
Compound: Li5Mn2CoO8
Radiation: a wavelength of 1.5418 Å
Structure: the PBE+U geometry in the Materials Project

Atomic structure:
a b c (Å): 5.116 2.876 9.820
angles (deg): 90.00 101.19 90.00
Space group P2/m (No. 10)
Unique sites:
Li (0.000, 0.000, 0.000) [1 per cell]
Li (0.229, 0.500, 0.229) [2 per cell]
Li (0.256, 0.000, 0.763) [2 per cell]
Mn (0.500, 0.000, 0.500) [1 per cell]
Mn (0.500, 0.500, 0.000) [1 per cell]
Co (0.000, 0.500, 0.500) [1 per cell]
O (0.139, 0.000, 0.393) [2 per cell]
O (0.155, 0.500, 0.881) [2 per cell]
O (0.386, 0.000, 0.111) [2 per cell]
O (0.403, 0.500, 0.613) [2 per cell]

Top 12 peaks for 10° ≤ 2θ ≤ 90°, by angle:
d = 5.019 Å, 17.7 deg, I 11; d = 4.854 Å, 18.3 deg, I 11; d = 4.817 Å, 18.4 deg, I 100; d = 2.509 Å, 35.8 deg, I 14; d = 2.473 Å, 36.3 deg, I 26; d = 2.069 Å, 43.8 deg, I 92; d = 1.884 Å, 48.3 deg, I 8; d = 1.601 Å, 57.6 deg, I 11; d = 1.490 Å, 62.3 deg, I 8; d = 1.467 Å, 63.4 deg, I 16; d = 1.458 Å, 63.8 deg, I 16; d = 1.438 Å, 64.9 deg, I 8

Simulated powder XRD pattern
Compound: Li2Mn3Co3O12
Radiation: a wavelength of 1.5418 Å
Structure: the PBE+U geometry in the Materials Project

Atomic structure:
a b c (Å): 5.695 5.993 6.750
angles (deg): 72.56 76.47 87.85
Space group P-1 (No. 2)
Unique sites:
Li (0.197, 0.194, 0.310) [2 per cell]
Mn (0.000, 0.000, 0.000) [1 per cell]
Mn (0.331, 0.341, 0.671) [2 per cell]
Co (0.167, 0.666, 0.333) [2 per cell]
Co (0.500, 0.000, 0.000) [1 per cell]
O (0.078, 0.560, 0.641) [2 per cell]
O (0.085, 0.112, 0.689) [2 per cell]
O (0.249, 0.220, 0.985) [2 per cell]
O (0.255, 0.782, 0.027) [2 per cell]
O (0.412, 0.437, 0.364) [2 per cell]
O (0.416, 0.889, 0.303) [2 per cell]

Top 12 peaks for 10° ≤ 2θ ≤ 90°, by angle:
d = 5.038 Å, 17.6 deg, I 100; d = 2.519 Å, 35.6 deg, I 4; d = 2.455 Å, 36.6 deg, I 17; d = 2.410 Å, 37.3 deg, I 10; d = 2.098 Å, 43.1 deg, I 15; d = 2.087 Å, 43.4 deg, I 15; d = 2.023 Å, 44.8 deg, I 14; d = 1.650 Å, 55.7 deg, I 5; d = 1.640 Å, 56.1 deg, I 5; d = 1.591 Å, 58.0 deg, I 4; d = 1.423 Å, 65.6 deg, I 8; d = 1.383 Å, 67.7 deg, I 4

Simulated powder XRD pattern
Compound: Li4MnCo2O7
Radiation: a wavelength of 1.5418 Å
Structure: the PBE+U geometry in the Materials Project

Atomic structure:
a b c (Å): 5.004 5.092 10.688
angles (deg): 85.39 76.77 72.28
Space group P1 (No. 1)
Unique sites:
Li (0.000, 0.000, 0.000) [1 per cell]
Li (0.068, 0.496, 0.866) [1 per cell]
Li (0.141, 0.991, 0.728) [1 per cell]
Li (0.276, 0.995, 0.448) [1 per cell]
Li (0.433, 0.992, 0.154) [1 per cell]
Li (0.576, 0.993, 0.859) [1 per cell]
Li (0.708, 0.994, 0.589) [1 per cell]
Li (0.854, 0.992, 0.304) [1 per cell]
Mn (0.502, 0.492, 0.009) [1 per cell]
Mn (0.932, 0.488, 0.152) [1 per cell]
Co (0.206, 0.497, 0.590) [1 per cell]
Co (0.355, 0.492, 0.297) [1 per cell]
Co (0.634, 0.498, 0.734) [1 per cell]
Co (0.785, 0.496, 0.444) [1 per cell]
O (0.029, 0.731, 0.437) [1 per cell]
O (0.104, 0.270, 0.293) [1 per cell]
O (0.193, 0.705, 0.156) [1 per cell]
O (0.241, 0.274, 0.025) [1 per cell]
O (0.340, 0.729, 0.881) [1 per cell]
O (0.399, 0.266, 0.722) [1 per cell]
O (0.460, 0.727, 0.579) [1 per cell]
O (0.527, 0.271, 0.428) [1 per cell]
O (0.622, 0.703, 0.289) [1 per cell]
O (0.690, 0.262, 0.145) [1 per cell]
O (0.747, 0.714, 0.025) [1 per cell]
O (0.782, 0.263, 0.882) [1 per cell]
O (0.885, 0.726, 0.722) [1 per cell]
O (0.961, 0.266, 0.582) [1 per cell]

Top 12 peaks for 10° ≤ 2θ ≤ 90°, by angle:
d = 4.850 Å, 18.3 deg, I 100; d = 2.532 Å, 35.5 deg, I 14; d = 2.513 Å, 35.7 deg, I 13; d = 2.455 Å, 36.6 deg, I 12; d = 2.116 Å, 42.7 deg, I 29; d = 2.090 Å, 43.3 deg, I 28; d = 2.038 Å, 44.5 deg, I 26; d = 1.488 Å, 62.4 deg, I 8; d = 1.486 Å, 62.5 deg, I 8; d = 1.479 Å, 62.8 deg, I 7; d = 1.467 Å, 63.4 deg, I 7; d = 1.457 Å, 63.9 deg, I 7

Simulated powder XRD pattern
Compound: Li4MnCo2O7
Radiation: a wavelength of 1.5418 Å
Structure: the PBE+U geometry in the Materials Project

Atomic structure:
a b c (Å): 3.029 8.037 10.697
- - -

Response >
Simulated powder XRD pattern
Compound: Li5Mn2CoO8
Radiation: a wavelength of 1.5418 Å
Structure: the PBE+U geometry in the Materials Project

Atomic structure:
a b c (Å): 5.116 2.876 9.820
angles (deg): 90.00 101.19 90.00
Space group P2/m (No. 10)
Unique sites:
Li (0.000, 0.000, 0.000) [1 per cell]
Li (0.229, 0.500, 0.229) [2 per cell]
Li (0.256, 0.000, 0.763) [2 per cell]
Mn (0.500, 0.000, 0.500) [1 per cell]
Mn (0.500, 0.500, 0.000) [1 per cell]
Co (0.000, 0.500, 0.500) [1 per cell]
O (0.139, 0.000, 0.393) [2 per cell]
O (0.155, 0.500, 0.881) [2 per cell]
O (0.386, 0.000, 0.111) [2 per cell]
O (0.403, 0.500, 0.613) [2 per cell]

Top 12 peaks for 10° ≤ 2θ ≤ 90°, by angle:
d = 5.019 Å, 17.7 deg, I 11; d = 4.854 Å, 18.3 deg, I 11; d = 4.817 Å, 18.4 deg, I 100; d = 2.509 Å, 35.8 deg, I 14; d = 2.473 Å, 36.3 deg, I 26; d = 2.069 Å, 43.8 deg, I 92; d = 1.884 Å, 48.3 deg, I 8; d = 1.601 Å, 57.6 deg, I 11; d = 1.490 Å, 62.3 deg, I 8; d = 1.467 Å, 63.4 deg, I 16; d = 1.458 Å, 63.8 deg, I 16; d = 1.438 Å, 64.9 deg, I 8

Simulated powder XRD pattern
Compound: Li2Mn3Co3O12
Radiation: a wavelength of 1.5418 Å
Structure: the PBE+U geometry in the Materials Project

Atomic structure:
a b c (Å): 5.695 5.993 6.750
angles (deg): 72.56 76.47 87.85
Space group P-1 (No. 2)
Unique sites:
Li (0.197, 0.194, 0.310) [2 per cell]
Mn (0.000, 0.000, 0.000) [1 per cell]
Mn (0.331, 0.341, 0.671) [2 per cell]
Co (0.167, 0.666, 0.333) [2 per cell]
Co (0.500, 0.000, 0.000) [1 per cell]
O (0.078, 0.560, 0.641) [2 per cell]
O (0.085, 0.112, 0.689) [2 per cell]
O (0.249, 0.220, 0.985) [2 per cell]
O (0.255, 0.782, 0.027) [2 per cell]
O (0.412, 0.437, 0.364) [2 per cell]
O (0.416, 0.889, 0.303) [2 per cell]

Top 12 peaks for 10° ≤ 2θ ≤ 90°, by angle:
d = 5.038 Å, 17.6 deg, I 100; d = 2.519 Å, 35.6 deg, I 4; d = 2.455 Å, 36.6 deg, I 17; d = 2.410 Å, 37.3 deg, I 10; d = 2.098 Å, 43.1 deg, I 15; d = 2.087 Å, 43.4 deg, I 15; d = 2.023 Å, 44.8 deg, I 14; d = 1.650 Å, 55.7 deg, I 5; d = 1.640 Å, 56.1 deg, I 5; d = 1.591 Å, 58.0 deg, I 4; d = 1.423 Å, 65.6 deg, I 8; d = 1.383 Å, 67.7 deg, I 4

Simulated powder XRD pattern
Compound: Li4MnCo2O7
Radiation: a wavelength of 1.5418 Å
Structure: the PBE+U geometry in the Materials Project

Atomic structure:
a b c (Å): 5.004 5.092 10.688
angles (deg): 85.39 76.77 72.28
Space group P1 (No. 1)
Unique sites:
Li (0.000, 0.000, 0.000) [1 per cell]
Li (0.068, 0.496, 0.866) [1 per cell]
Li (0.141, 0.991, 0.728) [1 per cell]
Li (0.276, 0.995, 0.448) [1 per cell]
Li (0.433, 0.992, 0.154) [1 per cell]
Li (0.576, 0.993, 0.859) [1 per cell]
Li (0.708, 0.994, 0.589) [1 per cell]
Li (0.854, 0.992, 0.304) [1 per cell]
Mn (0.502, 0.492, 0.009) [1 per cell]
Mn (0.932, 0.488, 0.152) [1 per cell]
Co (0.206, 0.497, 0.590) [1 per cell]
Co (0.355, 0.492, 0.297) [1 per cell]
Co (0.634, 0.498, 0.734) [1 per cell]
Co (0.785, 0.496, 0.444) [1 per cell]
O (0.029, 0.731, 0.437) [1 per cell]
O (0.104, 0.270, 0.293) [1 per cell]
O (0.193, 0.705, 0.156) [1 per cell]
O (0.241, 0.274, 0.025) [1 per cell]
O (0.340, 0.729, 0.881) [1 per cell]
O (0.399, 0.266, 0.722) [1 per cell]
O (0.460, 0.727, 0.579) [1 per cell]
O (0.527, 0.271, 0.428) [1 per cell]
O (0.622, 0.703, 0.289) [1 per cell]
O (0.690, 0.262, 0.145) [1 per cell]
O (0.747, 0.714, 0.025) [1 per cell]
O (0.782, 0.263, 0.882) [1 per cell]
O (0.885, 0.726, 0.722) [1 per cell]
O (0.961, 0.266, 0.582) [1 per cell]

Top 12 peaks for 10° ≤ 2θ ≤ 90°, by angle:
d = 4.850 Å, 18.3 deg, I 100; d = 2.532 Å, 35.5 deg, I 14; d = 2.513 Å, 35.7 deg, I 13; d = 2.455 Å, 36.6 deg, I 12; d = 2.116 Å, 42.7 deg, I 29; d = 2.090 Å, 43.3 deg, I 28; d = 2.038 Å, 44.5 deg, I 26; d = 1.488 Å, 62.4 deg, I 8; d = 1.486 Å, 62.5 deg, I 8; d = 1.479 Å, 62.8 deg, I 7; d = 1.467 Å, 63.4 deg, I 7; d = 1.457 Å, 63.9 deg, I 7

Simulated powder XRD pattern
Compound: Li4MnCo2O7
Radiation: a wavelength of 1.5418 Å
Structure: the PBE+U geometry in the Materials Project

Atomic structure:
a b c (Å): 3.029 8.037 10.697